Sunday, February 27, 2011

A Question For Mrs Chambers

I've been asking you lots of questions to get to know you better.  
Do you have a question for me?  What is something you would like to know about me and my family?
Don't forget to put your name!


  1. Hi do you have any pets and what are their names.I don't have any pets because my dad is allergic.My favourite animal is a kitten because they are really cute.

  2. Do you play any sports? What type of car do you drive?
    From Liam K.

Next to the article, the page also holds materials data
- - -
# RbLiMo3, relaxed, DFT PBE
# - ΔE_f (eV per atom) = 3.167
# - E_tot (eV/cell) = -19.538
data_RbLiMo3
_symmetry_space_group_name_H-M 'P m -3 m'
_symmetry_Int_Tables_number 221
_symmetry_space_group_name_Hall '-P 4 2 3'
_cell_length_a 4.7167
_cell_length_b 4.7167
_cell_length_c 4.7167
_cell_angle_alpha 90.00
_cell_angle_beta 90.00
_cell_angle_gamma 90.00
loop_
_atom_site_label
_atom_site_fract_x
_atom_site_fract_y
_atom_site_fract_z
Rb1 0.0000 0.0000 0.0000
Li1 0.5000 0.5000 0.5000
Mo1 0.0000 0.0000 0.5000

~~~~~

Below is a relaxed CdGaFeNi crystal, with properties calculated at the PBE level.

```
4
Lattice="0.000 3.056 3.056 3.056 0.000 3.056 3.056 3.056 0.000" Properties=species:S:1:pos:R:3 pbc="T T T"
Cd 3.056 3.056 3.056
Fe 4.584 4.584 4.584
Ga 0.000 0.000 0.000
Ni 1.528 1.528 1.528
```

Output
ΔE to the lowest computed polymorph in meV/atom: 0.0
Crystal system: cubic
Magnetization in μB/f.u.: 2.3
Space group: F-43m
Total energy in eV per cell: -17.43

~~~~~

1.
The following is a DFT calculation (meta-GGA SCAN) of CsNa2Au2 at its PBEsol-relaxed geometry.

Computed properties:
Formation enthalpy at 0 K (eV per atom): -0.3817
E (eV/f.u.): -186.463
Magnetization (μB per atom): 0.000
Theoretical density (kg/m3): 6454

a b c (Å): 4.765 4.765 12.982
angles (deg): 90.00 90.00 90.00
Space group I4/mmm (No. 139)
One atom of each set of equivalent atoms:
Cs (0.000, 0.000, 0.000) (multiplicity 2)
Na (0.000, 0.500, 0.250) (multiplicity 4)
Au (0.000, 0.000, 0.395) (multiplicity 4)

---

2.
The following is a DFT calculation (meta-GGA SCAN) of CoCuB2 at its PBEsol-relaxed geometry.

Computed properties:
Formation enthalpy at 0 K (eV per atom): 0.4275
E (eV/f.u.): -45.652
Magnetization (μB per atom): 0.000
Theoretical density (kg/m3): 7554

a b c (Å): 5.023 5.023 5.023
angles (deg): 90.00 90.00 90.00
Space group Fm-3m (No. 225)
One atom of each set of equivalent atoms:
Co (0.000, 0.000, 0.000) (multiplicity 4)
Cu (0.000, 0.000, 0.500) (multiplicity 4)
B (0.250, 0.250, 0.250) (multiplicity 8)

---

3.
The following is a DFT calculation (meta-GGA SCAN) of Si2OsPt at its PBEsol-relaxed geometry.

Computed properties:
Uncorrected formation energy (meV/atom): -339
E (eV/f.u.): -163.461
Magnetization (μB per atom): 0.000
Theoretical density (kg/m3): 13449

a b c (Å): 2.8601 2.8601 23.0841
angles (deg): 90.00 90.00 120.00
Space group R-3m (No. 166, hexagonal axes)
One atom of each set of equivalent atoms:
Si (0.0000, 0.0000, 0.2471) (multiplicity 6)
Os (0.0000, 0.0000, 0.5000) (multiplicity 3)
Pt (0.0000, 0.0000, 0.0000) (multiplicity 3)

---

4.
The following is a DFT calculation (meta-GGA SCAN) of IrIBr3 at its PBEsol-relaxed geometry.

Computed properties:
Uncorrected formation energy (meV/atom): 373
E (eV/f.u.): -164.356
Magnetization (μB per atom): 0.001
Theoretical density (kg/m3): 7366

a b c (Å): 5.013 5.013 5.013
angles (deg): 90.00 90.00 90.00
Space group Pm-3m (No. 221)
One atom of each set of equivalent atoms:
- - -

  3. Hi Jumana,
    I have a ginger cat. His name is Tom. He is very annoying. He sometimes vomits his food on the carpet (lucky it's old carpet). He meows at the top of his voice at 6am in the weekends. He is saying "feed me, feed me, feed me!". He fights with the other cats in the neighbourhood. He loves to play with water! BUT the most annoying thing he does is climb up onto the deck and meow because he has no way of getting down or inside unless we open the ranch slider! Would you like him?

  4. Hi when is your birthday? and how old will you be? what is your favourite cake? Daniella

  5. Hi Liam,
    I play netball. I ride my bike every Tuesday, Thursday and Saturday mornings. We go about 25-30 kilometres. I also love swimming. Actually I really like all sports. I'll have a go at playing anything.
    What sports do you play?

    I drive a car that is called the Mighty Corona! It's blue and has my bike rack on it.

  6. Hi Daniella,
    My birthday is on the 8th of September. I'll be a year older than what I am now!!!

    My favourite flavour cake is sultana cake, Christmas cake or carrot cake with cream cheese icing.... yum yum yum

  7. Do you have any pets?Would you like to have a baby? Do you have any pets? Which street do you live in? Is your street busy? From:Amy Wang

  8. Hi mrs chambers what do you like to do in your spare time ? And what is your favorite food.

  9. Hi Amy,
    I have a what I wrote to Jumana and it will tell you all about my MAD cat! He got up on the deck twice last night. That means that I have to get out of bed 2 times to let him in. I was not happy! I live in a quiet street in Browns Bay so it is not busy.

  10. Hi Parwana,
    I really like to read books in my spare time. I also like to go up and visit my mum and dad. They live in Uretiti. When I go there it is so relaxing as I don't have to do any cooking. I love cooking, but it is nice to have a break and have someone cook for me ;-)
    My favourite food is lamb that is covered in garlic and rosemary and cooked on the spit. I have it straight off the bone with tomato sauce... MMMMM a taste sensation!

  11. Hi Mrs Chambers
    What will you do after school? What can you do in your house? Do you have any pet except the cat? Where are you born? What food do you like the best? What schools are you in when you were small? Jeffrey

  12. Hi Mrs Chambers,
    What is your favourite book? And do you play any instrument? I am learning recorder and I would like to join the school band one day. Allan

  13. HI Jeffrey,
    I normally go home and cook dinner after school. I can do lots of things in my house like read, watch TV, play on the computer, cook dinner, bake cakes or biscuits. Tom is the ONLY pet I have!
    I was born in Kaitaia. So I went to Kaitaia Primary, Kaitaia Intermediate and Kaitaia College.
    You will have to read Parwana's answer to find out my favourite food ;-)

    1000 house points to anyone who can show me on a map where Kaitaia is.

  14. Hi Allan,
    I still can't find my favourite book from when I was little....I will keep looking for it. Some other favourites are the Hairy Maclary series of books. I love the rhyming words in them.
    I do not play an instrument. But if you ask Mrs Hohaia she will tell you that I am a very good singer (not!)
    It is great to have a goal like joining the school band. Well done. I'm sure you will make it ;-)

  15. Kaitaia is the most northern town in New Zealand and is about 116 kms south of Cape Reinga on the north island.

  16. Well done Allan!
    The 1000 house points are yours.

    Anyone else who can tell me where Kaitaia is..... can also get the 1000 house points.

  17. Hi Mrs C,

    What is your favourite type of music? Do you have a favourite movie?


  18. Hi Emily,
    My favourite type of music is Kiwi Classics that ROCK!
    April Sun in Cuba by Dragon and Blue Lady by Hello Sailor are my absolute favourite songs. But I like Dave Dobbyn, Split Enz, The Dance Exponents, The Dudes ....... and more!
    I really don't have a favourite movie. I like watching what adults call 'chick flicks'. They are movies that girls enjoy watching because they don't have 'shoot em up' and 'bang bang' stuff in them!

  19. Hi Mrs C
    Where was your favourite place you for a trip? I have been in south Korea last year with mum. It was interesting.


  20. Hi Andrew,
    Surfers Paradise is our favourite place to visit. There are heaps of things to do there PLUS there is great shopping!
    I also love going camping in the summer holidays.

  21. hai, Mrs Awesome
    I would like to know more about you
    Whats your fave colour not including green of couse!!!!!!! :P
    I miss you as my teacher but Mrs Penberthy is great really nice to
    How are your days at school at school at the moment?
    And Sacha did her study by the way!!!!! hahahahahahahaha
    See you at school

    Jade and Sacha :D :) :P

  22. Sorry spelt course wrong!!!!!
    :p :D
